Next, count the lines underneath that contain the word "Be" and give the number alone.

'''
Entry 1:
VASP calculation (PBE) on a geometry-optimized K2Sn6Pt structure.

```
9
Lattice="-0.356 -5.869 2.318 4.144 1.754 5.082 -2.572 2.441 5.788" Properties=species:S:1:pos:R:3 pbc="T T T"
Sn 0.019 -3.327 3.420
Sn -0.859 0.784 7.248
Sn 1.196 1.654 9.768
Sn 2.472 0.444 6.898
Sn -1.256 -2.117 6.290
Sn 2.075 -2.458 5.940
K 0.468 0.476 3.987
K 0.748 -2.150 9.201
Pt 0.000 0.000 0.000
```

The calculated formation energy is -0.27 eV/atom. For the volume, the calculation gives 28.0 Å³/atom.


Entry 2:
VASP calculation (PBE) on a geometry-optimized LaAg2GeSb structure.

```
5
Lattice="-5.128 -0.782 -1.885 0.704 -5.536 0.382 -1.919 0.113 5.174" Properties=species:S:1:pos:R:3 pbc="T T T"
Ag -0.959 0.057 2.587
Ag -2.564 -0.391 -0.942
La 0.000 0.000 0.000
Sb -3.171 -3.103 1.836
Ge 0.352 -2.768 0.191
```

The value obtained for the raw formation energy is 960.9 meV per atom. For the volume, the calculation gives 34.1 Å³/atom.


Entry 3:
VASP calculation (PBE) on a geometry-optimized KMg structure.

```
4
Lattice="6.008 -0.473 0.000 0.353 6.016 0.000 -3.180 -2.772 4.304" Properties=species:S:1:pos:R:3 pbc="T T T"
Mg 0.176 3.008 2.152
Mg 3.180 2.772 0.000
K 0.000 0.000 0.000
K 3.004 -0.236 2.152
```

The calculated formation energy is 0.22 eV/atom. For the volume, the calculation gives 39.1 Å³/atom.


Entry 4:
VASP calculation (PBE) on a geometry-optimized BeRu2Au structure.

```
4
Lattice="2.776 0.000 0.000 0.000 3.644 0.000 0.000 0.000 5.547" Properties=species:S:1:pos:R:3 pbc="T T T"
Be 1.388 1.822 4.231
Ru 1.388 1.822 1.141
Ru 0.000 0.000 0.037
Au 0.000 0.000 2.912
```

The calculated formation energy is 0.11 eV/atom. For the volume, the calculation gives 14.0 Å³/atom.


Entry 5:
VASP calculation (PBE) on a geometry-optimized Rb3Pa3TaN8 structure.

```
15
Lattice="6.980 0.000 0.000 -3.490 6.048 -0.018 0.000 -4.011 6.811" Properties=species:S:1:pos:R:3 pbc="T T T"
Pa 3.490 -2.005 3.406
Pa 1.745 1.019 3.397
Pa -1.745 1.019 3.397
Rb 1.745 3.024 -0.009
Rb 0.000 0.000 0.000
Rb -1.745 3.024 -0.009
N 5.332 -1.059 2.389
N 3.490 0.015 4.443
N 0.000 -0.099 4.413
N 1.842 3.096 4.405
N 3.490 2.136 2.381
N 1.649 -1.059 2.389
N -1.842 3.096 4.405
N 0.000 2.022 2.351
Ta 0.000 -2.006 3.406
```

The value obtained for the raw formation energy is -1023.7 meV per atom. For the volume, the calculation gives 19.1 Å³/atom.


Entry 6:
VASP calculation (PBE) on a geometry-optimized NaTl2Ag2Br6 structure.

```
11
Lattice="-4.103 -3.640 -5.945 3.788 -4.436 5.605 -6.274 3.039 2.469" Properties=species:S:1:pos:R:3 pbc="T T T"
Br -0.672 -5.724 1.130
Br 1.444 -3.846 4.197
Br -1.776 -2.046 2.479
Br -5.917 0.687 0.998
Br -4.813 -2.991 -0.350
Br -8.033 -1.191 -2.068
Ag -5.388 -4.933 1.236
Ag -1.201 -0.104 0.893
Tl -4.400 -0.727 3.482
Tl -2.189 -4.310 -1.353
Na -5.189 -0.301 -1.738
```

The value obtained for the raw formation energy is -657.8 meV per atom. For the volume, the calculation gives 34.0 Å³/atom.


Entry 7:
VASP calculation (PBE) on a geometry-optimized Ti3Nb2Ga2 structure.

```
7
Lattice="4.322 0.000 -1.262 -0.940 6.361 -3.219 -0.503 -3.415 6.309" Properties=species:S:1:pos:R:3 pbc="T T T"
Ti -0.470 3.180 -1.610
Ti 1.557 5.317 -2.699
Ti 1.322 -2.371 4.527
Ga 2.172 3.413 -0.593
Ga 0.707 -0.468 2.420
Nb 2.759 1.592 1.417
Nb 0.120 1.353 0.410
```

The calculated formation energy is -0.30 eV/atom. For the volume, the calculation gives 16.8 Å³/atom.


Entry 8:
VASP calculation (PBE) on a geometry-optimized CrCo2Ru structure.

```
8
Lattice="3.474 0.000 0.000 0.000 3.474 0.000 1.737 1.737 8.552" Properties=species:S:1:pos:R:3 pbc="T T T"
Co 2.575 0.868 2.138
Co 2.605 2.635 6.414
Co 4.342 4.312 6.414
Co 0.898 2.605 2.138
Cr 1.737 3.474 4.276
Cr 1.737 1.737 0.000
Ru 3.474 1.737 4.276
Ru 0.000 0.000 0.000
```

The calculated formation energy is 0.56 eV/atom. For the volume, the calculation gives 12.9 Å³/atom.


Entry 9:
VASP calculation (PBE) on a geometry-optimized Re2WBr structure.

```
8
'''

1